Transport Canada Must Require Ships to Slow Down in the Cabot Strait to Protect One of the Most Endangered Whales on the Planet - Oceana Canada

Transport Canada Must Require Ships to Slow Down in the Cabot Strait to Protect One of the Most Endangered Whales on the Planet

The text is interrupted by quantum chemistry results:
=====
25
Properties=species:S:1:pos:R:3:forces:R:3 method="wB97M-V/def2-TZVPD" largest_force_ev_per_a=1.41 total_charge=0 relative_energy_kj_mol=100.1 homo_lumo_gap_ev=9.27
C -0.19930 1.43729 2.94417 -0.145 0.664 -0.360
C 0.59652 1.18188 1.67135 -0.385 -1.347 -0.119
C -0.11012 0.12717 0.81758 -0.403 0.317 -0.573
N 0.68177 -0.29839 -0.33402 -0.384 -0.294 0.402
C 1.40971 -1.50849 -0.02166 0.277 -0.823 -0.017
C 0.03891 -0.27768 -1.66392 -0.585 -0.082 0.534
C -0.82069 -1.51033 -1.95862 0.422 0.108 -0.443
C -0.77843 0.99251 -1.89478 0.434 0.183 0.469
H -1.25940 1.59288 2.72488 0.028 0.224 -0.135
H -0.19599 0.59252 3.62743 0.388 -0.070 0.107
H 0.18457 2.34068 3.42158 -0.145 -0.177 0.331
H 0.70926 2.03099 1.00489 0.170 0.430 0.330
H 1.57703 0.77718 1.92442 0.207 0.270 -0.015
H -0.47742 -0.70091 1.44146 0.317 -0.165 -0.058
H -1.00993 0.57545 0.41294 -0.259 0.193 0.262
H 1.51964 -2.20813 -0.85374 0.450 0.613 -0.429
H 0.91498 -2.19705 0.68162 -0.293 0.490 0.316
H 2.38340 -1.27489 0.40512 0.191 -0.105 -0.070
H 0.86536 -0.17724 -2.36513 0.101 -0.449 -0.239
H -1.69607 -1.52128 -1.32262 -0.242 -0.034 0.250
H -0.25937 -2.43306 -1.81424 -0.131 -0.041 -0.014
H -1.16110 -1.48748 -2.99893 0.005 -0.038 0.099
H -1.17839 0.97509 -2.90279 0.262 0.269 -0.277
H -0.09175 1.82362 -1.69832 -0.303 0.192 -0.428
H -1.64322 1.14767 -1.24867 0.022 -0.329 0.079

=====

8
Properties=species:S:1:pos:R:3:forces:R:3 method="wB97M-V/def2-TZVPD" largest_force_ev_per_a=7.87 total_charge=+1 relative_energy_kj_mol=173.9 homo_lumo_gap_ev=9.24
C -1.60014 -0.24136 -0.09304 -1.493 -0.505 0.494
N -0.60459 0.32127 -0.54501 7.362 2.628 0.941
C 0.92995 0.43590 0.12711 -6.602 -1.551 -0.969
O 1.62889 -0.51028 -0.30335 -1.256 0.798 -0.202
H -2.45691 -0.06750 -0.76824 0.005 -0.641 0.670
H -1.62270 -0.79049 0.84245 -0.403 -0.094 -0.004
H 1.18172 1.25910 0.85952 0.112 -0.613 -1.282
H 2.54377 -0.40663 -0.11946 2.274 -0.022 0.352
=====
Back to the text:

Press Release Date: May 26, 2021

OTTAWA — For the second year in a row, Oceana Canada has found that the majority of vessels are not complying with a voluntary slowdown meant to protect critically endangered North Atlantic right whales in the Cabot Strait. Transport Canada must do all it can to protect right whales by making the slowdown mandatory. 

### Unrelated to this text: data records
=====
[1]
Molecular formula: C26H23F2N2O
Method: DFT, ωB97M-V/def2-TZVPD

Results
LUMO energy: -4.45 eV
HOMO-LUMO gap: 7.22 eV
HOMO: -11.66 eV

```
! wB97M-V def2-TZVPD RIJCOSX def2/J DEFGRID3
* xyz 1 1
F -1.76382 2.73741 -2.65241
C -1.49091 1.40458 -2.45796
C -2.54346 0.50254 -2.45937
C -2.24238 -0.84522 -2.24743
C -0.93104 -1.24914 -2.04907
C 0.11770 -0.32166 -2.06907
C 1.47015 -0.82481 -1.62112
C 2.79941 -0.37175 -2.17904
C 3.86273 -1.27979 -2.05313
C 5.17507 -0.85989 -2.23272
C 5.46588 0.48565 -2.47646
C 4.39474 1.34987 -2.64963
F 4.65162 2.67345 -2.90721
C 3.06413 0.94449 -2.56922
C -0.16946 1.03380 -2.24146
H -3.55048 0.84751 -2.65264
H -3.04355 -1.57638 -2.21159
H -0.69804 -2.29800 -1.85266
H 1.44877 -1.92539 -1.57300
H 3.63881 -2.31940 -1.80044
H 5.98274 -1.57973 -2.14658
H 6.48196 0.84393 -2.59540
H 2.27252 1.65532 -2.77475
H 0.59679 1.80038 -2.17462
H 1.50831 -0.53596 -0.58448
C 1.67455 0.65096 1.62902
H 2.66341 0.48436 1.20648
C 0.91600 1.74336 1.22683
C -0.33019 1.96217 1.79953
N -0.86035 1.02989 2.60935
C -2.17289 1.25378 3.22896
C -3.18504 0.54336 2.39214
C -3.47543 -0.80167 2.63294
C -4.28411 -1.51799 1.74605
C -4.81459 -0.87389 0.61982
C -4.52518 0.47446 0.37645
C -3.71654 1.18104 1.26735
C -0.22271 -0.14425 2.82774
C 1.03969 -0.39991 2.31195
C 1.52391 -1.81823 2.46607
N 2.58824 -2.22848 1.69207
O 0.95805 -2.57551 3.23230
H 1.23253 2.39018 0.39407
H -0.94066 2.85310 1.62693
H -2.13962 0.80938 4.22308
H -2.37597 2.32705 3.24866
H -3.03860 -1.27930 3.51608
H -4.51239 -2.57085 1.94617
H -5.43389 -1.43125 -0.08617
H -4.93490 0.98454 -0.50298
H -3.47048 2.23400 1.09766
H -0.77042 -0.80748 3.48519
H 3.11583 -1.64795 1.05672
H 2.99358 -3.11668 1.96101
*
```

[2]
Molecular formula: C2H3ClN2
Method: DFT, ωB97M-V/def2-TZVPD

Results
LUMO energy (alpha / beta): 0.99 / -1.32 eV
HOMO-LUMO gap (alpha / beta): 8.69 / 7.68 eV
HOMO (alpha / beta): -7.70 / -9.00 eV
⟨S²⟩: 2.04
ΔE to the lowest compared entry with this formula, charge and spin: 306.4 kJ/mol

```
! wB97M-V def2-TZVPD RIJCOSX def2/J DEFGRID3
* xyz 0 3
C -0.64773 -0.48458 -0.66121
C 1.44149 -1.30198 0.63694
N -1.42647 1.48544 0.36107
N -1.17556 0.48202 -0.23182
Cl 2.61059 -0.35768 -0.05990
H -0.91596 -1.16348 -1.44345
H 1.50364 -0.96250 1.67270
H -1.39000 2.30275 -0.27431
*
```

[3]
Molecular formula: C3F3O2
Method: DFT, ωB97M-V/def2-TZVPD

Results
LUMO energy: 4.14 eV
HOMO-LUMO gap: 7.59 eV
HOMO: -3.45 eV
ΔE to the lowest compared entry with this formula, charge and spin: 286.9 kJ/mol

```
! wB97M-V def2-TZVPD RIJCOSX def2/J DEFGRID3
* xyz -1 1
C 0.23286 -0.55251 0.30898
C -1.55628 -0.23864 0.12766
C 1.10523 0.21811 -0.48402
O 1.21142 0.36802 0.85573
O 1.71989 0.65884 -1.37985
F 0.44031 -1.84098 0.52819
F -1.64053 0.71248 1.13322
F -1.51289 0.67468 -1.08992
*
```

[4]
Molecular formula: C12H32MnNO7S2
Method: DFT, ωB97M-V/def2-TZVPD

Results
LUMO energy (alpha / beta): 0.30 / -0.28 eV
HOMO-LUMO gap (alpha / beta): 7.07 / 7.75 eV
HOMO (alpha / beta): -6.76 / -8.04 eV
⟨S²⟩: 12.00

```
=====

Using Global Fishing Watch data as part of an ongoing multi-year analysis, Oceana Canada today released one week of results of vessel speeds in the Cabot Strait voluntary slowdown zone. The Cabot Strait is a key passage for right whales as they migrate into the Gulf of St. Lawrence in search of food. 

Sixty-four per cent of transits – 65 out of 101, involving 58 vessels – failed to comply with the 10-knot voluntary slowdown from April 28 to May 4, the first week the measure was in place in 2021. The highest observed speed was 17.4 knots. This is worse than the results from the same week in 2020, the first year of the program, in which 55 per cent of transits did not comply with the slowdown (67 out of 122, involving 56 vessels). 

Oceana Canada is calling on Transport Canada to immediately make the Cabot Strait slowdown mandatory.

“Despite the sighting of a right whale in the Cabot Strait on April 26, two days before the slowdown went into effect on April 28, and this being the second year of the program, vessel compliance remains shockingly low. Without making this slowdown mandatory, critically endangered whales, including mothers with calves, are being put at risk of being killed or injured by a vessel strike,” said Kim Elmslie, campaign director for Oceana Canada. “We are calling on Transport Canada to put mandatory measures in place before April 28, before the whales arrive, in 2022 to best protect right whales from vessel strikes.” 

[Misplaced records of molecules]
........
{"formula": "C5H10N2S", "method": "ωB97M-V with the def2-TZVPD basis set", "elements": ["N", "N", "C", "C", "C", "C", "C", "S", "H", "H", "H", "H", "H", "H", "H", "H", "H", "H"], "positions_angstrom": [[-2.65031, -1.95871, 0.21602], [-2.25977, -0.75246, -0.51015], [-1.00586, -0.37414, -0.43785], [0.00338, -0.62955, 0.58770], [1.30072, -0.24504, 0.41796], [1.60882, 1.26741, 0.16757], [0.53578, 1.88960, -0.75124], [-0.46349, 0.71882, -1.81955], [-1.86598, -2.66817, 0.28925], [-3.56896, -2.35009, -0.20401], [-0.36677, -0.06044, 1.40939], [0.02528, -1.60681, 1.22501], [1.96080, -0.59891, 1.19511], [1.65420, -0.72359, -0.42770], [2.52520, 1.45904, -0.44131], [1.65456, 1.76700, 1.03273], [1.14978, 2.29219, -1.65297], [-0.23736, 2.57385, -0.29596]], "atomic_forces_ev_per_a": [[-0.148, 0.250, -0.487], [1.782, -1.691, -0.183], [-2.835, -0.203, -2.083], [-4.641, -2.959, 4.065], [6.244, 2.798, -1.033], [-0.916, -2.147, -4.009], [-0.030, 0.538, -2.517], [-0.146, -0.595, 2.480], [-1.482, 1.104, -0.361], [2.577, 1.006, 0.755], [-0.847, 0.987, 1.013], [-0.597, 0.737, -1.944], [0.059, -0.060, 0.537], [1.120, -1.115, -1.976], [-0.232, -0.766, 1.112], [0.228, 2.013, 3.328], [-1.438, 0.542, 1.795], [1.306, -0.441, -0.491]], "lowdin_charge": [-0.0525, -0.0707, -0.5812, -0.2886, -0.2830, -0.1947, -0.4462, 0.8863, 0.0799, 0.1015, 0.1288, 0.1641, 0.1236, 0.0921, 0.1189, 0.0581, 0.0782, 0.0857], "energy_ev": -19159.397, "e_homo_ev": -8.1, "e_above_lowest_ev": 3.5088, "smiles": "N/N=C1\\CCCCS1"}


Here is a cluster of 21 separate species, C71H177N7O21 in total in a non-equilibrium geometry from the Open Molecules 2025 dataset. Energies are from ωB97M-V/def2-TZVPD.

Geometry as XYZ:
```
276
Properties=species:S:1:pos:R:3:mulliken_charge:R:1
C 26.05309 5.92402 17.29438 -0.11
O 25.80952 5.23253 16.04498 -0.61
H 26.95886 6.50737 17.12891 0.30
H 25.19139 6.56759 17.47155 0.00
H 26.08026 5.17538 18.08615 0.01
H 25.12579 4.56968 16.16640 0.09
C 19.64166 8.20687 18.74884 -0.28
O 20.61822 8.95270 19.46164 -0.56
H 19.25048 7.55531 19.53022 0.28
H 18.74596 8.75288 18.45271 0.23
H 20.02959 7.62687 17.91146 -0.13
H 20.23721 9.14025 20.32260 0.32
C 16.78485 -2.30468 14.69698 -0.46
O 15.81511 -2.42196 15.76517 -0.46
H 16.46481 -1.67792 13.86460 0.40
H 17.81341 -2.06198 14.96393 -0.11
H 16.87382 -3.25862 14.17718 0.36
H 14.96399 -2.39350 15.32201 0.25
C 17.35022 3.09998 14.70055 -0.92
O 18.35833 3.87394 14.12462 -0.38
H 17.23444 2.11690 14.24423 0.33
H 17.52981 2.99424 15.77045 0.11
H 16.35927 3.54875 14.63182 0.42
H 17.98576 4.43044 13.43680 0.09
C 21.18467 1.82528 17.08675 1.37
O 20.96055 1.45420 15.79502 0.65
H 20.46736 1.45354 17.81845 -0.84
H 22.03856 1.36426 17.58316 0.04
H 21.25086 2.91046 17.16494 -0.61
H 20.71924 0.52511 15.78208 -0.72
C 25.22869 2.32382 17.03480 0.08
O 24.09511 3.01078 16.45434 1.44
H 26.13826 2.46526 16.45103 0.47
H 25.46671 2.78655 17.99257 -0.07
H 25.12942 1.24157 17.11832 -0.66
H 23.89714 2.60436 15.60744 -0.64
C 24.44445 2.87501 13.13828 -1.03
........

With fewer than 360 North Atlantic right whales left in the world, they are on the brink of extinction. There have been 21 known right whale deaths in Canadian waters between 2017 and 2020.

The slower and smaller the vessel is, the higher the likelihood of a whale surviving a collision. One study found that slowing vessel speeds to 10 knots or less can reduce the lethality of a collision by 86 per cent. Other research has identified that compliance with slowdowns is significantly higher when a measure is mandatory. 

“We are concerned that the voluntary slowdown creates a disincentive for compliance and an unfair advantage for those who ignore it. That is why Transport Canada must make the slowdown a season-long – the entire time the whales are known to be in the area – and mandatory measure,” said Elmslie.

In February 2021, Oceana Canada released The Edge of Extinction, Protecting North Atlantic Right Whales. For information about the analysis and to learn more, visit:

Contacts: Tammy Thorne, Oceana Canada,, 437-247-0954 and Kathleen Munro, Pilot PRM,, 902-789-3165